
Recursos de programación de go
We’re a next-generation SaaS scale-up that builds PIM software for the retail industry. Our name, Plytix, is short for Product Analytics—we started as an ecommerce analytics tool in 2015. Since then, we’ve grown to be one of the leading Product Information Management (PIM) tools. It’s the only PIM system specially made (and priced!) for small to medium-sized ecommerce. It’s a single source of truth that helps teams manage and syndicate product information at scale, allowing you to get your products to market faster and smarter—regardless of the channel. As far as the brains behind the software go, we’re a tight-knit team of passionate, data-driven individuals based here, there, and everywhere in the world! We’re also recognized for our outstanding customer care and employee culture, making us a Great Place To Work in 2021.
Data Architecture Manager at Accenture Born in a town in Seville, Juanjo studied Telecommunications Engineering at the Superior School of Engineering. Since 2004, his professional career has developed at Accenture, working on both national and international development & maintenance projects as Data Engineer and Big Data Engineer. He loves the phrase “If you want to go fast, go alone; if you want to go far, go together.” He likes to help people grow and build teams, loves sports and cooking, and his main hobby is his family. And he is forbidden to give up.
Cuando se quiere llegar a un cierto nivel de rendimiento y paralelismo, se imponen las arquitecturas orientadas a eventos por encima de las APIs síncronas. En esta charla diseñaré y construiré una arquitectura de alto rendimiento utilizando Go y Kafka, mostrando cómo exprimir productores y consumidores para maximizar la eficiencia del sistema.
The Suitcase project is made of a battery-powered suitcase using development boards based on ESP32 microcontrollers Raspberry Pis and a 4G connection and OCI Services. The goal of this project is to enable design and rapid prototyping of stream analysis of events generated by the Suitcase. You will learn how to develop and deploy analytics pipelines that process the events coming from Suitcase and send back the results in case of anomalies and errors.
The remarkable advances in Data, Analytics and AI have fostered a widespread adoption of Machine Learning (ML) capabilities within many products and services we use and consume everyday, ranging from navigation apps up to health-support systems. Nonetheless, implementing ML solutions is still a complex endeavour, and many organizations are struggling to fully exploit the strategic advantages of AI. In this talk, we’ll cover the key concepts that are critical to harness Data & AI leveraging what we have learned from implementing complex software and data-heavy developments in multiple projects. We’ll go through the three stages that we consider when dealing with data products, and we’ll also introduce the principles of Machine Learning Ops (MLOps), a concept that has gained momentum over the last months.
BPMN is often seen as boring ‘Business Speak’. In reality, it is just a way to automate things, and since it’s called the Internet of Things why not automate those things too! With an estimated 75% of IoT deployments failing to deliver on their promises (and 30% dying in the proof of concept phase) it’s clearly time to approach IoT deployments differently. It’s time to design, implement, build and deploy IoT projects from a business perspective rather than a technical standpoint. In this talk I’ll go through a complete IoT solution in 3 iterations to show how Business Process Management platforms can quickly iterate on an IoT solution to deliver maximum benefit. Enough business-speak! I’m going to build a Skittles (candy) dispenser based on IoT and controlled by BPMN, with a little AI thrown in! I’ll run the entire demo live, so if the prospect of watching a demo fail in front of a live audience is what gets you excited, this talk is for you! It’s also for you if you’re struggling to build a business case for your IoT project.
Inserted here: calculated crystals:
********
The following is a DFT calculation (GGA-PBE) of a geometry-optimized Ti4InB structure.

Values from the calculation:
- total magnetization (μB per cell) = 0.00
- formation energy from the elements (eV per atom) = -0.189

Unit cell a=13.529 b=5.224 c=5.870 alpha=90.00 beta=106.14 gamma=90.00
Space group C2/c (No. 15)
Symmetry-distinct sites (fractional):
Ti 0.099 0.081 0.451 (multiplicity 8)
Ti 0.193 0.411 0.147 (multiplicity 8)
In 0.000 0.416 0.750 (multiplicity 4)
B 0.250 0.250 0.500 (multiplicity 4)

----------

# 1
TcB2Pt: optimized geometry, GGA-PBE.

## Properties
* SG: No. 216
* uncorrected energy: -6.259 eV per atom

a b c (Å): 4.0585 4.0585 4.0585
angles (deg): 60.00 60.00 60.00
With the nearest neighbours (Å) after each atom.
Fractional positions:
B: 0.5000 0.5000 0.5000  4 Tc 2.49, 4 B 2.49
B: 0.7500 0.7500 0.7500  4 B 2.49, 4 Pt 2.49
Pt: 0.0000 0.0000 0.0000  4 Tc 2.49, 4 B 2.49
Tc: 0.2500 0.2500 0.2500  4 Pt 2.49, 4 B 2.49

---

# 2
Tc2BPt: optimized geometry, GGA-PBE.

## Properties
* SG: No. 216
* uncorrected energy: -7.728 eV per atom

a b c (Å): 4.2327 4.2327 4.2327
angles (deg): 60.00 60.00 60.00
With the nearest neighbours (Å) after each atom.
Fractional positions:
B: 0.5000 0.5000 0.5000  4 Pt 2.59, 4 Tc 2.59
Pt: 0.2500 0.2500 0.2500  4 B 2.59, 4 Tc 2.59
Tc: 0.0000 0.0000 0.0000  4 Tc 2.59, 4 Pt 2.59
Tc: 0.7500 0.7500 0.7500  4 Tc 2.59, 4 B 2.59

---

# 3
ThB2Pt6: optimized geometry, GGA-PBE.

## Properties
* SG: No. 191
* uncorrected energy: -7.069 eV per atom

a b c (Å): 5.6196 5.6196 5.6076
angles (deg): 90.00 90.00 120.00
With the nearest neighbours (Å) after each atom.
Fractional positions:
B: 0.6667 0.3333 0.5000  6 Pt 2.15
B: 0.3333 0.6667 0.5000  6 Pt 2.15
Pt: 0.5000 0.0000 0.2477  2 B 2.15
Pt: 0.0000 0.5000 0.2477  2 B 2.15
Pt: 0.5000 0.5000 0.2477  2 B 2.15
Pt: 0.5000 0.0000 0.7523  2 B 2.15
Pt: 0.0000 0.5000 0.7523  2 B 2.15
Pt: 0.5000 0.5000 0.7523  2 B 2.15
Th: 0.0000 0.0000 0.0000  12 Pt 3.13

----------

# 1
Entry from Alexandria via LeMat-Bulk: HfNb2SnTe after structural relaxation (GGA-PBE).

```
data_HfNb2SnTe
_cell_length_a 5.081
_cell_length_b 5.081
_cell_length_c 5.298
_cell_angle_alpha 90.00
_cell_angle_beta 90.00
_cell_angle_gamma 90.00
_symmetry_space_group_name_H-M 'P 4/m m m'
_symmetry_Int_Tables_number 123
_symmetry_space_group_name_Hall '-P 4 2'
loop_
_atom_site_label
_atom_site_fract_x
_atom_site_fract_y
_atom_site_fract_z
Hf1 0.000 0.000 0.000
Nb1 0.000 0.500 0.500
Sn1 0.000 0.000 0.500
Te1 0.500 0.500 0.000
```

For the density of states at the Fermi level, the calculation gives 11.1 states/eV/f.u. Its calculated total energy is -30.50 eV for the cell shown. As for the formation energy (no corrections): 1.35 eV/atom.

---

# 2
Entry from Alexandria via LeMat-Bulk: Hf3Ti2NbSn3 after structural relaxation (GGA-PBE).

```
data_Hf3Ti2NbSn3
_cell_length_a 8.3248
_cell_length_b 8.3248
_cell_length_c 3.0740
_cell_angle_alpha 90.00
_cell_angle_beta 90.00
_cell_angle_gamma 120.00
********
The biggest Google tech event in Spain, carefully crafted for you by GDGMálaga community! Awesome speakers and lots of fun! Do you want to learn how to use Flow (and StateFlow)? Let's use it to create an musical app, to compose together this symphony, applying reactive rhymes and using as base the MVI architecture in Android. In this talk we will share a journey to create a musical app in Android, applying the latest concurrency trends from Kotlin and this beloved reactive Android architecture. We will go from the origins and basics of the architecture, its advantages (and downsides), to the current implementation using the Flow API. #GDGMálaga`22 #DevFestMáalga #BiznagaFest Síguenos en nuestras redes para estar al día de las novedades: - Twitter: https://goo.gl/MU5pUQ - Instagram: https://lk.autentia.com/instagram - LinkedIn: https://goo.gl/2On7Fj/ - Facebook: https://goo.gl/o8HrWX
Distributed systems are inherently complex and exposed to failures in their components. While distributed algorithms try to do their best in handling node and network failures, it is often not possible to mask them. In the presence of failures, systems that thrive for high availability need to allow users to always submit operations and observe the local state (ensuring local-first), leading to potential divergence. Designs with Conflict-free Replicated Data Types (CRDTs) have been used extensively to guarantee that it is possible to converge to a state that reflects concurrent operations. Recent proposals show that it is possible to go beyond state convergence and use CRDTs as a basis for providing additional system-wide guarantees on individual data items, non-negative inc/dec counters, and cross-item guarantees such as referential integrity. This talk introduces the main concepts underpinning CRDTs and these recent proposals.
Hablamos directamente con Marcos Muíño y Álvaro Gómez, co-fundador y líder técnico de YepCode. Nos contarán cómo han arrancado este nuevo servicio similar a Zapier o n8n para hacer automatizaciones donde el NoCode no es suficiente 😊 Veremos cositas como: - Casos de uso reales con YepCode - Stack tecnológico escogido - Diseño y Arquitectura implementado (Microservicios, DDD, testing…) - Código de producción de YepCode - Infraestructura montada (k8s, instalaciones on-premise…) {▶️} CodelyTV ├ 🎥 Suscríbete: https://youtube.com/c/CodelyTV?sub_confirmation=1 ├ 🐦 Twitter CodelyTV: https://twitter.com/CodelyTV ├ 💡 Twitter Marcos Muíño: https://twitter.com/mmuino ├ 🧔🏻 Twitter Javi: https://twitter.com/JavierCane ├ 📸 Instagram: https://instagram.com/CodelyTV ├ ℹ️ LinkedIn: https://linkedin.com/company/codelytv ├ 🟦 Facebook: https://facebook.com/CodelyTV └ 📕 Catálogo cursos: https://bit.ly/cursos-codely
En el episodio de hoy seguimos analizando los distintos frameworks de adopción propuestos por los proveedores Cloud y, en concreto, nos centramos en la propuesta de Azure. Ya estuvimos hablando en un capítulo anterior de las primeras etapas de este framework (Strategy y Plan) y en esta segunda entrega profundizaremos en las etapas de preparación (Ready) y migración e innovación (Adopt). Ponente: Rubén Villar Escudero, Arquitecto Cloud en Paradigma Digital. Si te perdiste el episodio anterior de esta serie, puedes escucharlo aquí: https://go.ivoox.com/rf/83038849 ¿Quieres ver otros tutoriales? https://www.youtube.com/c/ParadigmaDigital/playlists ¿Quieres escuchar nuestros podcasts? https://www.ivoox.com/podcast-apasionados-tecnologia_sq_f11031082_1.html ¿Quieres saber cuáles son los próximos eventos que organizamos?: https://www.paradigmadigital.com/eventos/